View Full Version : Carp fishing

04-27-2011, 06:38 PM
Anybody guide for carp on the fly around here? I need help. My goal for this season is to figure those babies out. I love sticking them, but can't do it with any consistency.


Hogan Brown
04-27-2011, 07:13 PM
Ralph I guide and fish for carp around chico (lower sac back water and various lakes and reservoirs) quit a bit and would be happy to help you get dialed in on them. That said they are not easy. they are by far one of the hardest fish I have ever fished for - permit, bones included - and every body of waters carp are very unique in how and when to target them. Mandatory reading is carp on the fly by Barry Reynolds, Brad Befus, and John Berryman. anyhow shoot me and email or check out my website for more info


Dan LeCount
04-27-2011, 07:38 PM
Dave Stanley and Andy Burk have both had the carp bug for quite a while. Those 2 and a few of the Reno shop guys fished the river, surrounding lakes, irrigation ditches, etc, hard for em and caught quite a few dandies, especially Dave and some other guys the last few summers. Im sure you have his number, if not let me know and I can get it for ya. I dont know if Andy still fishes them, but he had a period about 7-8 years ago where he was off the deep end, reading hundreds of euro mags/articles/books about them. He even got into C&R carp bait fishing with hand made boilies(doughballs basically) he cooked at home with all sorts of weird extracts. It was pretty entertaining.

edit - that book that Hogan linked really is a good read if you want to get into these guys.

Jay Murakoshi
04-28-2011, 04:45 AM
Hey Ralph,

I fish carp at least 5 days a week this time of year. I have a bunch of waters around my house where I fish. I've been fishing carp for over 20 years way before it became famous.
Even to this day, I know at lot of people who turn there noses up to carp
It's a tough fish to catch, a hard fighter when hooked and for a fresh water fish it can get big.
My biggest last year was around 26lbs on a 7 wt. I prefer walking the shorelines when stalking carp. They are definitely sensitive to noise. When I get home, I hope to start my new video on carp fishing

This year, they are fluctuating the waters so much for the oncoming snow melt, I think they are screwed up. I have seen a few in the grassy shallows but not many. Actually, this was a couple weeks ago, I'm now in Baja getting ready to chase big roosters and dorado. I have a couple friends who will be keeping me updated on the carp fishing at home.


04-28-2011, 08:12 AM
That is EXACTLY my experience. Just like permit, you can do everything "right" and they roll their eyes, but the very next cast, three fish will race each other to the fly. I get them often enough to keep me coming for more, but just when I start to think I know what I'm doing, they teach me otherwise. Over all I don't feel like I've had ten years experience, but one year's experience every year for ten years.
Time to get off the plateau - I'll send you a PM and book a date.

04-28-2011, 09:23 AM
Ill be living in wisconsin starting this summer. Im pretty excited about the carp fishing they have along the shores of lake michigan. fishing crystal clear limestone flats for big carp actively feeding on bugs and crawdads.


Bill Kiene semi-retired
04-28-2011, 09:41 AM
Hi Ralph

This is exciting because we have heard and read about it for years now.

Another Carp guy is our Umpqua Rep Darin Elmore in Reno. He has offered to take some of our staff out this year.

Another Sacramento Carp guy is Wayne Chubb who is a member of the CFFU in town. He is hosting a CFFU fly club outing on a Saturday, April 30, 2011, on Folsom Lake for Carp on a fly:


04-28-2011, 09:57 AM
Those Euro rough fish tourney guys are probably the best finesse anglers on earth. I've fished with a few and their dedication to detail is amazing (bordering on mind-numbing).
Don't make fun of Andy's bollies! Wheaties, anise seeds, molasses, peanut butter and some loose cotton fibers all rolled up make a great bait for foothill carp, but at Stillwater, they want white bread dough (I think it is Mike Sevon who insists his bread get moldy before carping on the Lower Truckee). For being the same fish, they definitely seem to have distinct tastes and traits. The one thing they ALL seem to have a weakness for are floating cottonwood seeds. Casting dries to these guys is about as much fun as you can have.
Put me first on your list for your carp vid. It should be a great seller.

# Here the entry breaks off for materials data
-- begin --
This entry pairs a crystal structure of MgAl2VO6 with its calculated PXRD pattern. Radiation: Cu Kα. Structure: the GGA+U geometry in Alexandria.
Kinematic intensities with the Lorentz-polarization factor, no thermal factor.

Structural model:
```
data_MgAl2VO6
_chemical_formula_sum 'Mg1 Al2 V1 O6'
_cell_length_a 4.908
_cell_length_b 4.976
_cell_length_c 5.289
_cell_angle_alpha 62.02
_cell_angle_beta 89.63
_cell_angle_gamma 60.69
_space_group_name_H-M_alt 'P 1'
_space_group_IT_number 1
loop_
_space_group_symop_operation_xyz
'x,y,z'
loop_
_atom_site_label
_atom_site_type_symbol
_atom_site_fract_x
_atom_site_fract_y
_atom_site_fract_z
Mg1 Mg 0.000 0.000 0.000
Al1 Al 0.294 0.421 0.866
Al2 Al 0.787 0.433 0.366
V1 V 0.494 0.013 0.474
O1 O 0.082 0.502 0.165
O2 O 0.209 0.906 0.660
O3 O 0.426 0.912 0.166
O4 O 0.580 0.244 0.660
O5 O 0.672 0.255 0.172
O6 O 0.908 0.538 0.652
```

Most intense lines, 2θ from 10° to 90°, by angle:
24.72°, I = 33.2
33.69°, I = 53.2
34.04°, I = 100.0
35.98°, I = 31.7
41.70°, I = 38.2
64.45°, I = 39.8


PuAl2Ge2: calculated powder diffractogram (CuKα), based on a DFT-relaxed cell (GGA-PBE, Alexandria).

Largest 12 diffraction maxima, by angle, 10° ≤ 2θ ≤ 80°:
15.92°, d = 5.565 Å, rel. 29.3
23.18°, d = 3.837 Å, rel. 19.7
24.59°, d = 3.620 Å, rel. 18.1
30.98°, d = 2.886 Å, rel. 20.2
33.06°, d = 2.710 Å, rel. 19.2
36.89°, d = 2.436 Å, rel. 100.0
40.52°, d = 2.226 Å, rel. 16.6
43.66°, d = 2.073 Å, rel. 16.4
44.33°, d = 2.044 Å, rel. 15.7
63.97°, d = 1.455 Å, rel. 10.6
75.72°, d = 1.256 Å, rel. 13.3
76.67°, d = 1.243 Å, rel. 12.0

```
PuAl2Ge2
1.0
2.0733 -11.1307 0.0000
2.0733 11.1307 0.0000
0.0000 0.0000 4.0872
Pu Al Ge
2 4 4
Direct
0.1475 0.8525 0.7500
0.8525 0.1475 0.2500
0.0424 0.9576 0.2500
0.4557 0.5443 0.2500
0.5443 0.4557 0.7500
0.9576 0.0424 0.7500
0.2509 0.7491 0.2500
0.3657 0.6343 0.7500
0.6343 0.3657 0.2500
0.7491 0.2509 0.7500
```

***

Cs2TaCl5O: calculated powder diffractogram (CuKα), based on a DFT-relaxed cell (GGA-PBE, Alexandria).

Largest 12 diffraction maxima, by angle, 10° ≤ 2θ ≤ 80°:
14.60°, d = 6.067 Å, rel. 84.5
23.62°, d = 3.767 Å, rel. 100.0
24.60°, d = 3.618 Å, rel. 35.4
28.73°, d = 3.108 Å, rel. 25.5
29.44°, d = 3.034 Å, rel. 29.7
32.17°, d = 2.782 Å, rel. 26.1
35.07°, d = 2.559 Å, rel. 46.7
40.91°, d = 2.206 Å, rel. 15.6
42.72°, d = 2.117 Å, rel. 41.5
48.33°, d = 1.883 Å, rel. 31.4
50.44°, d = 1.809 Å, rel. 15.5
61.10°, d = 1.517 Å, rel. 15.1

```
Cs2TaCl5O
1.0
-3.6184 3.6184 5.5649
3.6184 -3.6184 5.5649
3.6184 3.6184 -5.5649
Cs Ta Cl O
2 1 5 1
Direct
0.0000 0.5000 0.5000
0.5000 0.0000 0.5000
0.2312 0.2312 0.0000
-- stop --

Jay Murakoshi
04-28-2011, 02:49 PM
My go to flies are san juan worm- red rubber band, dough ball - made from egg yarn and soaked in Scotch Guard, let dry for a few days and a rusty colored wooly bugger. I also have cotton seed flies, mulberry seed and corn fly

No carp in baja, none that I can find


04-28-2011, 03:34 PM
Casting dries to these guys is about as much fun as you can have.

hey R.,

Wish your trip east hadn't fallen through. Early this summer cicada Brood XIX is due to emerge around here, which means some ridiculous topwater carpin' (and every other fish around). Not trying to rub salt in an open wound, just sayin'...


04-28-2011, 04:54 PM
Salted right to the bone. Ouch! Watch out for them tornados Dave. Karma brother, karma.

I think your horoscope says you'll be back in SF in a very dark, very small room somewhere in the bowels of the Academy reeking of formaldehyde and sorting dead fish during the cicada hatch.

Dan LeCount
04-28-2011, 05:18 PM
Hi Ralph

(Next to the page, the page also holds data records)
........
This entry pairs a crystal structure of CaCo6O2F10 with its calculated powder diffraction line list. Radiation: Cu Kα X-rays. Structure: a structure optimized by DFT (PBE+U).
No peak broadening, texture or thermal motion is included.

Cell and atoms:
abc: 6.6125 6.8240 11.2909
angles: 90.00 97.36 90.00
Space group Cm (No. 8)
Inequivalent atoms, fractional coordinates:
Ca 0.0000 0.0000 0.0000
Co 0.0509 0.5000 0.0706
Co 0.3381 0.5000 0.3688
Co 0.3470 0.0000 0.2556
Co 0.3475 0.0000 0.8027
Co 0.3737 0.0000 0.5265
Co 0.4098 0.5000 0.6651
O 0.0729 0.0000 0.8160
O 0.1231 0.5000 0.2340
F 0.0523 0.0000 0.2115
F 0.0650 0.0000 0.5145
F 0.1273 0.5000 0.9051
F 0.1793 0.5000 0.5277
F 0.3252 0.2062 0.0351
F 0.3521 0.2005 0.3869
F 0.3889 0.1936 0.6688

Peak list (10 most intense, 10° ≤ 2θ ≤ 90°, in order of falling intensity)
Position (°2θ)	d/Å	I_rel	index
26.1	3.412	100	0 2 0
35.7	2.513	47	1 1 -4
27.2	3.279	36	2 0 0
31.9	2.805	34	1 1 3
27.3	3.262	24	2 0 -1
53.7	1.706	22	0 4 0
49.8	1.829	19	1 3 3
29.1	3.071	19	1 1 -3
52.6	1.740	18	1 3 -4
51.4	1.778	14	3 1 -4

=====

(1)
The following is a simulated powder XRD pattern of NaMnBi. It was derived from a structure optimized by DFT (PBE), using Cu Kα (weighted mean of Kα1 and Kα2).
Neutral-atom scattering factors, no anomalous dispersion.

Structural model:
Lattice parameters (Å, degrees): 4.5249 4.5249 7.7854 90.00 90.00 90.00
Space group P4/nmm (No. 129, origin choice 2)
Unique sites:
Na1 0.2500 0.2500 0.1515 (multiplicity 2)
Mn1 0.2500 0.7500 0.5000 (multiplicity 2)
Bi1 0.2500 0.2500 0.7255 (multiplicity 2)

Main lines, sorted by position (2θ from 10° to 80°):
Position (°2θ)	Rel. int.
11.4	21
22.7	100
22.8	16
27.9	27
36.3	63
39.8	29
40.1	26
46.4	43
57.8	18
70.1	18



(2)
The following is a simulated powder XRD pattern of Mn5Bi4Pd2. It was derived from a structure optimized by DFT (PBE), using Cu Kα (weighted mean of Kα1 and Kα2).
Neutral-atom scattering factors, no anomalous dispersion.

Structural model:
Lattice parameters (Å, degrees): 12.3677 12.3677 12.3677 90.00 90.00 90.00
Space group F-43m (No. 216)
Unique sites:
Mn1 0.0000 0.0000 0.2494 (multiplicity 24)
Mn2 0.1523 0.1523 0.8477 (multiplicity 16)
Bi1 0.0000 0.0000 0.0000 (multiplicity 4)
Bi2 0.0000 0.0000 0.5000 (multiplicity 4)
Bi3 0.0403 0.2500 0.2500 (multiplicity 24)
Pd1 0.1320 0.1320 0.6320 (multiplicity 16)

Main lines, sorted by position (2θ from 10° to 80°):
Position (°2θ)	Rel. int.
24.9	72
28.9	40
31.5	32
37.8	61
41.3	100
48.8	23
57.2	19
61.4	15
69.7	15
75.3	15



(3)
The following is a simulated powder XRD pattern of Pr3MnBi5. It was derived from a structure optimized by DFT (PBE), using Cu Kα (weighted mean of Kα1 and Kα2).
Neutral-atom scattering factors, no anomalous dispersion.

Structural model:
Lattice parameters (Å, degrees): 9.7292 9.7292 6.5302 90.00 90.00 120.00
Space group P6_3/mcm (No. 193)
Unique sites:
Pr1 0.0000 0.3794 0.2500 (multiplicity 6)
Mn1 0.0000 0.0000 0.0000 (multiplicity 2)
Bi1 0.0000 0.2543 0.7500 (multiplicity 6)
........
(Back to the page)

This is exciting because we have heard and read about it for years now.

Another Carp guy is our Umpqua Rep Darin Elmore in Reno. He has offered to take some of our staff out this year.

Another Sacramento Carp guy is Wayne Chubb who is a member of the CFFU in town. He is hosting a CFFU fly club outing on a Saturday, April 30, 2011, on Folsom Lake for Carp on a fly:


yeah, Darin can catch some carp. Him and Mario Walther, a guy who used to work our Reno Shop were the "other guys" I was referring to in my first post. Mario got a submarine on the river last year that was 15-20lbs, was pretty awesome.